US cancer experts foster collaborations with Israelis
The serious consequences of the scientific brain drain were discussed in the Knesset last week.
By JUDY SIEGEL-ITZKOVICHrosenblatt 88(photo credit: )
One way to minimize the brain drain of young Israeli scientists to the US would be to promote joint medical research projects funded by foundations that will keep them fulfilled and challenged in Israel, says Prof. Joseph Rosenblatt, a leading oncologist at the University of Miami's Sylvester Comprehensive Cancer Center.
## Unrelated to this article: records of molecules
+++
A cluster of 2 separate species, C10H20O2 in total at a distorted geometry. Source: the Open Molecules 2025 dataset; level of theory: ωB97M-V/def2-TZVPD.

Structure (XYZ):
```
32
Properties=species:S:1:pos:R:3:forces:R:3:lowdin_charge:R:1
C 1.93285 -0.98497 -0.15581 -0.346 -5.198 -0.390 0.03
C 1.66632 -1.62030 -1.30880 0.712 -0.544 -1.072 -0.38
C 1.49691 -0.86571 -2.59318 1.450 -0.395 -1.271 -0.11
C 1.54652 -3.19606 -1.55520 -2.793 1.383 0.411 -0.07
C -1.47343 -0.80158 1.97575 -0.076 -0.314 -1.577 -0.05
C -2.75894 0.98646 0.96945 0.840 0.264 0.117 -0.07
C 0.27479 2.30081 -1.44255 2.034 0.699 1.023 -0.05
C 0.06625 2.89013 1.69435 2.812 0.914 -1.096 -0.01
C -1.55047 0.09416 0.67381 -1.207 -1.485 0.677 -0.31
C -0.38787 0.94551 0.37652 -0.754 -0.958 -0.540 -0.44
O -0.46522 1.39793 -0.85798 0.014 -0.319 1.354 -0.01
O 0.33350 1.46966 1.35683 0.692 1.861 0.607 -0.05
H 1.94683 0.02938 -0.06573 0.297 2.526 0.308 0.02
H 2.00780 -1.47844 -3.45274 -1.096 1.382 1.392 0.11
H 0.46611 -0.68995 -2.79479 -1.106 -0.471 -0.542 0.06
H 1.85709 0.17193 -2.58047 0.463 -0.352 0.192 0.06
H 2.40338 -3.76910 -1.25935 0.584 -0.149 -0.184 0.05
H 1.11332 -3.49200 -2.61152 1.242 0.825 2.068 0.10
H 0.72572 -3.45973 -0.82475 0.755 -0.235 -0.744 0.07
H -1.47752 -0.11089 2.82383 0.798 -0.420 0.086 0.08
H -2.39585 -1.39721 2.11088 0.199 0.388 -0.431 0.08
H -0.67910 -1.55897 1.86979 0.109 0.671 0.677 0.07
H -2.96726 1.58578 0.12786 -0.529 0.841 -1.018 0.07
H -3.56870 0.35490 1.19077 -1.382 -0.661 0.205 0.06
H -2.61529 1.64531 1.83133 0.192 -0.170 -0.024 0.08
H 1.04233 2.88946 -0.95247 -0.194 -0.453 0.373 0.06
H -0.14067 2.67569 -2.29047 -1.030 0.707 -2.416 0.03
H 2.08295 -1.69324 0.69221 -0.093 1.162 -0.197 0.08
H 0.53789 3.17374 2.65665 -0.334 -0.932 -0.338 0.09
H -0.98095 3.06972 1.74292 -0.745 0.270 -0.250 0.06
H 0.65184 3.58983 0.94948 -1.631 -1.339 1.133 0.11
H -1.74867 -0.49716 -0.28536 0.124 0.503 1.467 0.17
```
Forces are in eV/Å.

Summary:
- Kohn-Sham gap (spin up / spin down): 7.8267 / 7.2595 eV
- Multiplicity: 1
- E_tot: -14783.3213 eV
- Energy relative to the best compared isomer or geometry (same formula, charge and spin): 142.3 kcal per mole

~~~~~

DFT (ωB97M-V/def2-TZVPD) results for C75H181AsF6N19O13Tl as an isolated structure.

The LUMO energy is -10.4 eV. Its molar mass is 1950.69 g/mol. For the total energy, the calculation gives -217466.899 eV. The gap between HOMO and LUMO is 1.22 eV.

The geometry in ORCA input format:
```
! wB97M-V def2-TZVPD RIJCOSX def2/J DEFGRID3
* xyz 2 1
Tl -5.3957 27.2616 -15.3362
As -5.1348 23.5503 -18.2328
F -5.6348 24.6988 -19.5367
F -4.8173 22.2971 -19.4378
F -4.7356 22.3910 -16.9162
F -5.4737 24.8652 -16.9908
F -6.8614 23.0149 -18.1117
F -3.4484 24.0225 -18.2918
C 2.3167 21.9421 -20.7378
C 1.3735 22.7510 -19.8371
N 0.9257 24.0085 -20.3546
C -0.1939 24.5698 -19.5358
C 0.1564 24.9255 -18.1524
C 2.0365 24.9453 -20.6589
C 1.6387 25.8821 -21.7315
H 1.8825 21.8640 -21.7346
H 2.3596 20.8978 -20.4285
H 3.3087 22.3917 -20.7805
+++
The serious consequences of the scientific brain drain were discussed in the Knesset last week.
Rosenblatt, who studied for four years at a Jerusalem yeshiva high school and speaks fluent Hebrew, was one of some 70 cancer clinicians and basic-research scientists from the US and Canada and a few hundred Israelis who attended the Joint American-Israeli Conference on Cancer at the Jerusalem Renaissance Hotel last week.
Although the primary goal of the first conference, 15 months ago, was to provide moral support during the wave of terrorism, this was not the case this time.
"We wanted to expose young scientists here to the leading experts from the US, show them there doesn't have to such such a chasm between basic research and clinical work - the gap is much smaller in North America - and facilitate informal contacts that have already led to a number of joint projects, data sharing and collaborations and several Israelis going for post-doctoral work in the US," Rosenblatt told The Jerusalem Post in an interview on Thursday, the second day of the three-day meeting.
Rosenblatt noted that of all the Israelis who have worked in his Florida lab had returned to Israel and were working in their field. "Most Israelis would prefer to live in Israel if they have the opportunity to do their work," said Rosenblatt, who is associate director of clinical and translational research at his cancer center.
The quality of the conference was so high, he said, that he had learned about cutting-edge Israeli research that had never been presented before anywhere.
Harvard Medical School Prof. Kenneth Anderson, a fervent friend of Israel who is considered the world's leading expert on the incurable blood cancer multiple myeloma, said the "quality of Israeli science is unsurpassed."
He cited the influence of Technion-Israel Institute of Technology Profs. Avram Hershko and Aharon Ciechanover - winners of the 2004 Nobel Prize in Chemistry for their discovery of ubiquitin-mediated protein degradation, which led to the development of Velcade, a cancer drug that is proving to be very useful against specific tumors.
Anderson, who is on his first visit to Israel, hinted at the tense atmosphere caused by the kidnapping of Cpl. Gilad Shalit when he said, "We cancer experts know how precious life is. And we are here to use the power of science to improve the life of patients." He added that "many novel gene-targeted therapies have already been transferred from the bench in the lab to the patient's bedside."
Multiple myeloma, whose cause is unknown, constitutes 1-2 percent of all cancers.
The Jerusalem conference - sponsored by the University of Miami, Johns Hopkins University's Kimmel Comprehensive Cancer Center, the Hackensack University Cancer Center, the Israel Cancer Association, the Flight Attendant Medical Research Institute (FAMRI) and other donors - "has made us all feel like family, and we will foster these informal contacts," Anderson said.
Someone pasted molecular data at this point.
........
(1)
Entry from the Open Molecules 2025 dataset: C38H51Cl3N2O3SbSiV as an isolated structure at a distorted geometry (ωB97M-V with the def2-TZVPD basis set).

```
100
Properties=species:S:1:pos:R:3:forces:R:3:mulliken_charge:R:1
H -5.52840 -0.07839 -1.68199 0.42 0.33 -0.09 0.33
C -1.53429 -5.32740 0.68946 0.09 -0.03 0.26 -0.63
C 4.77827 0.14333 -0.58134 0.32 -0.05 0.16 -0.47
O -1.75397 -0.89643 0.72966 -2.78 -1.35 -0.70 0.30
Sb 0.95862 -1.69796 1.07323 -0.17 0.41 -0.95 0.91
C 1.26774 -0.21144 5.80655 0.08 -0.19 -0.33 -0.55
H 0.56321 2.29762 -5.03765 0.03 0.06 0.07 0.29
C -0.75808 4.39781 0.08479 0.49 -0.44 -0.09 -1.12
H 5.97576 -4.46780 -0.95435 -0.30 0.09 0.07 0.34
H 2.98441 -1.52754 5.98094 -0.23 0.12 -0.12 0.39
C -4.74695 0.17441 -2.41760 -0.24 -0.18 -0.10 -1.02
H -0.82259 -3.70931 -0.53457 -0.08 0.12 0.03 0.33
C 3.96106 1.02846 0.13718 -0.23 -0.34 -0.27 -1.18
C -0.08131 -4.13804 2.76354 -0.47 -0.47 -0.06 -0.44
C 2.75362 1.44203 -0.42621 -0.01 -0.28 -0.25 0.95
H -2.38430 -1.47168 2.95157 -0.31 -0.29 -0.27 0.07
V -2.61864 0.33035 -0.74478 3.36 -0.39 -1.69 0.03
C -0.83432 -4.14064 0.46232 -0.13 -0.40 0.31 -0.61
C 0.10251 2.46849 1.33045 -1.65 -0.31 -0.55 0.01
H 4.07326 -2.03449 2.05894 -0.06 -0.33 -0.45 0.26
C 2.19621 -1.14708 5.32818 -0.20 0.02 -0.30 -0.80
H -0.77428 -5.77288 3.99820 -0.07 0.12 -0.48 0.36
H 3.07120 4.99593 -4.29850 -0.22 0.26 0.42 0.34
H 4.98362 -1.09812 -2.34630 -0.20 0.29 0.30 0.35
C -3.11942 -2.26125 2.74241 0.00 0.02 0.05 -0.81
H -3.08855 -1.73973 -0.64801 0.17 -0.25 0.44 0.13
H -2.08555 -6.83746 2.14775 0.14 0.27 -0.11 0.35
C 2.37354 0.97831 -1.69317 0.30 -0.16 -0.75 0.15
C 0.19445 -0.16919 3.62752 0.18 0.03 0.37 -0.43
H -3.92053 -0.54888 -2.32943 -0.13 -0.23 -0.19 0.34
C 5.13812 -3.27854 0.64389 -0.16 0.10 -0.10 -0.67
H -2.07078 -5.80066 -0.12864 0.04 0.02 0.08 0.46
H -0.46705 0.99278 5.32410 0.22 -0.19 -0.10 0.44
C -0.13397 -3.53195 1.50280 0.74 0.13 0.24 0.85
C -5.31580 3.15599 -1.36118 -0.11 0.47 -0.18 -1.25
H 1.77358 5.64701 -3.24434 0.05 0.31 -0.12 0.31
C 1.51164 2.86181 -3.21300 1.95 -0.63 0.45 0.94
Cl -4.02991 1.28691 0.53311 -2.29 1.04 2.52 -0.61
O -0.95000 1.81479 1.18397 1.73 0.72 0.49 -0.50
H -5.19617 -0.00791 -3.42552 0.63 0.19 0.63 0.45
C 1.50814 4.45661 1.05353 0.49 0.08 -0.31 -0.76
H -2.70892 -3.22955 3.06072 -0.06 0.21 -0.15 0.25
C -1.53419 -5.91335 1.95970 0.13 0.20 0.19 -0.51
H 1.26596 5.51505 1.29041 0.13 -0.61 0.02 0.36
C -0.80549 -5.31855 2.99861 0.20 0.12 -0.07 -0.53
H -0.76296 5.43300 0.38024 -0.11 0.52 0.21 0.49
H -1.70100 3.92833 0.29807 -0.41 -0.15 0.04 0.27
C 0.26294 0.26773 4.95743 0.17 -0.18 -0.06 -1.13
H 2.10827 4.02459 1.88696 -0.52 0.20 -0.54 0.26
H 3.81982 -4.56149 -2.23091 0.05 0.08 0.06 0.37
H 5.73934 -0.18848 -0.16149 -0.47 0.18 -0.18 0.34
C 3.87409 -4.02761 -1.28674 0.14 0.21 0.32 -0.64
H 0.78588 0.81293 -3.13467 -0.09 -0.20 -0.02 0.32
C -4.59305 2.61860 -4.09222 0.67 0.40 -0.40 -1.30
N -3.45411 -2.29862 1.31881 -0.20 0.01 -0.03 0.59
H 0.51534 -3.70761 3.57758 -0.32 -0.09 -0.38 0.23
........
Prof. Mark Soloway, chairman of the urology department at the University of Miami, spoke of the need to promote early diagnosis of bladder cancer in both the US and Israel, where it is the fifth most common tumor in men and eighth in women, but is not widely known.
Bladder cancer is diagnosed in 40,000 Americans each year and kills 12,000 of them. Many of the cases are caused by smoking or by passive smoking. Although lab tests can point to markers for the cancer, many family physicians know little about it. "If a doctor has a patient who is a smoker and complains of blood in the urine, he should immediately test for bladder cancer," Soloway said.
Many patients have been saved by having their bladder removed and having a replacement formed from a section of their own small intestine.
A retired US airline stewardess who represented FAMRI explained why her organization was so keen on sponsoring cancer research. For many years, she said, when smoking was legal on international flights that lasted as long as 16 hours, "75% of passengers smoked, the air in the cabin was blue-gray, and you couldn't see to the back of the plane. Airline personnel were constantly exposed to tobacco toxins, and many of them developed tumors. Even after smoking was barred, she recalled difficulty persuading passengers to refrain.
"On a flight to Japan, when a man said his wife was sick from the man sitting next to her who was smoking a cigar, and wanted to hit him in the nose, I went over to help. The smoker refused even to look at me. Finally, I told him I hoped he would enjoy his stay on the island of Midway.
"'But I'm going to Tokyo!'" he protested.
"No, you're not," she replied. "We‚re going to land specially and leave you in Midway, and ours is the only airline serving that point. It won't allow you on its planes again. But there is a boat that arrives every two months or so and can pick you up." The offender quickly extinguished his cigar, she said.